**Input:**
____________
Below is a relaxed structure of BaBiO3, with properties calculated at the PBE level.

Lattice parameters (Å, degrees): 6.220 6.220 6.220 60.60 60.60 60.60
Element x y z (fractional)
1 Ba 0.250 0.250 0.250
2 Ba 0.750 0.750 0.750
3 Bi 0.000 0.000 0.000
4 Bi 0.500 0.500 0.500
5 O 0.695 0.240 0.820
6 O 0.820 0.695 0.240
7 O 0.240 0.820 0.695
8 O 0.305 0.760 0.180
9 O 0.760 0.180 0.305
10 O 0.180 0.305 0.760

Computed properties:
The space group is No. 148. Its calculated formation energy is -2.232 eV/atom.

---

Below is a relaxed structure of YReB4, with properties calculated at the PBE level.

Lattice parameters (Å, degrees): 3.619 5.988 11.585 90.00 90.00 90.00
Element x y z (fractional)
1 Y 0.000 0.126 0.150
2 Y 0.000 0.874 0.850
3 Y 0.000 0.626 0.350
4 Y 0.000 0.374 0.650
5 Re 0.000 0.134 0.413
6 Re 0.000 0.866 0.587
7 Re 0.000 0.634 0.087
8 Re 0.000 0.366 0.913
9 B 0.500 0.477 0.192
10 B 0.500 0.523 0.808
11 B 0.500 0.977 0.308
12 B 0.500 0.023 0.692
13 B 0.500 0.287 0.315
14 B 0.500 0.713 0.685
15 B 0.500 0.787 0.185
16 B 0.500 0.213 0.815
17 B 0.500 0.363 0.469
18 B 0.500 0.637 0.531
19 B 0.500 0.863 0.031
20 B 0.500 0.137 0.969
21 B 0.500 0.386 0.047
22 B 0.500 0.614 0.953
23 B 0.500 0.886 0.453
24 B 0.500 0.114 0.547

Computed properties:
The space group is No. 55. Its calculated formation energy is -0.579 eV/atom.

---

Below is a relaxed structure of SmGeIr, with properties calculated at the PBE level.

Lattice parameters (Å, degrees): 4.387 7.027 7.681 90.00 90.00 90.00
Element x y z (fractional)
1 Sm 0.250 0.501 0.192
2 Sm 0.750 0.499 0.808
3 Sm 0.750 0.999 0.692
4 Sm 0.250 0.001 0.308
5 Ge 0.250 0.797 0.892
6 Ge 0.750 0.203 0.108
7 Ge 0.750 0.703 0.392
8 Ge 0.250 0.297 0.608
9 Ir 0.250 0.660 0.567
10 Ir 0.750 0.340 0.433
11 Ir 0.750 0.840 0.067
12 Ir 0.250 0.160 0.933

Computed properties:
The space group is No. 62. Its calculated formation energy is -0.869 eV/atom.

---

Below is a relaxed structure of Na2Ta8Si9S3O48, with properties calculated at the PBE level.

Lattice parameters (Å, degrees): 17.761 8.867 22.928 89.97 89.93 119.88
Element x y z (fractional)
1 Na 0.000 0.000 0.500
2 Na 0.503 0.002 0.997
3 Na 0.336 0.339 0.831
4 Na 0.831 0.325 0.833
5 Na 0.332 0.337 0.338
6 Na 0.836 0.331 0.336
7 Ta 0.006 0.017 0.359
8 Ta 0.495 0.996 0.359
9 Ta 0.995 0.995 0.857
10 Ta 0.506 0.997 0.858
11 Ta 0.994 0.984 0.641
12 Ta 0.505 0.005 0.642
13 Ta 0.003 0.002 0.143
14 Ta 0.501 0.004 0.145
15 Ta 0.336 0.340 0.682
16 Ta 0.838 0.347 0.693
17 Ta 0.338 0.341 0.195
18 Ta 0.837 0.333 0.183
19 Ta 0.338 0.346 0.973
20 Ta 0.834 0.326 0.981
21 Ta 0.335 0.344 0.482
22 Ta 0.841 0.342 0.475
23 Ta 0.161 0.662 0.018
24 Ta 0.659 0.662 0.027
25 Ta 0.159 0.656 0.528
26 Ta 0.666 0.658 0.521
27 Ta 0.160 0.650 0.305
28 Ta 0.664 0.659 0.316
29 Ta 0.164 0.669 0.814
30 Ta 0.661 0.671 0.804
31 Si 0.142 0.999 0.251
32 Si 0.358 0.721 0.251
33 Si 0.994 0.277 0.250
34 Si 0.504 0.289 0.251
35 Si 0.643 0.285 0.750
36 Si 0.004 0.720 0.750
37 Si 0.493 0.709 0.750
38 Si 0.858 0.000 0.750
39 Si 0.478 0.334 0.581
40 Si 0.972 0.325 0.585
41 Si 0.191 0.049 0.583
42 Si 0.334 0.628 0.583
43 Si 0.830 0.612 0.583
44 Si 0.472 0.619 0.084
45 Si 0.979 0.623 0.081
46 Si 0.834 0.041 0.083
47 Si 0.691 0.334 0.083
48 Si 0.309 0.674 0.916
49 Si 0.020 0.377 0.916
50 Si 0.528 0.383 0.916
51 Si 0.166 0.955 0.917
52 Si 0.671 0.952 0.917
53 Si 0.808 0.951 0.416
54 Si 0.171 0.390 0.417
55 Si 0.667 0.376 0.417
56 Si 0.028 0.673 0.416
57 Si 0.522 0.664 0.418
58 S 0.644 0.002 0.251
59 S 0.857 0.713 0.250
60 S 0.143 0.286 0.751
61 S 0.357 0.999 0.750
62 S 0.692 0.049 0.583
63 S 0.332 0.046 0.083
64 S 0.192 0.335 0.083
65 S 0.808 0.664 0.917
66 S 0.308 0.952 0.416
67 O 0.096 0.033 0.307
68 O 0.603 0.029 0.303
69 O 0.420 0.807 0.307
70 O 0.911 0.790 0.302
71 O 0.487 0.162 0.306
72 O 0.980 0.159 0.307
73 O 0.103 0.178 0.804
74 O 0.594 0.159 0.807
75 O 0.480 0.801 0.808
76 O 0.988 0.813 0.807
77 O 0.410 0.029 0.803
78 O 0.920 0.033 0.807
79 O 0.396 0.975 0.697
80 O 0.907 0.976 0.693
____________
**To do:**
The reader should find the line further above that holds "0.433", then give back that line and all lines after it there.
**Written answer:**
10 Ir 0.750 0.340 0.433
11 Ir 0.750 0.840 0.067
12 Ir 0.250 0.160 0.933

Computed properties:
The space group is No. 62. Its calculated formation energy is -0.869 eV/atom.

---

Below is a relaxed structure of Na2Ta8Si9S3O48, with properties calculated at the PBE level.

Lattice parameters (Å, degrees): 17.761 8.867 22.928 89.97 89.93 119.88
Element x y z (fractional)
1 Na 0.000 0.000 0.500
2 Na 0.503 0.002 0.997
3 Na 0.336 0.339 0.831
4 Na 0.831 0.325 0.833
5 Na 0.332 0.337 0.338
6 Na 0.836 0.331 0.336
7 Ta 0.006 0.017 0.359
8 Ta 0.495 0.996 0.359
9 Ta 0.995 0.995 0.857
10 Ta 0.506 0.997 0.858
11 Ta 0.994 0.984 0.641
12 Ta 0.505 0.005 0.642
13 Ta 0.003 0.002 0.143
14 Ta 0.501 0.004 0.145
15 Ta 0.336 0.340 0.682
16 Ta 0.838 0.347 0.693
17 Ta 0.338 0.341 0.195
18 Ta 0.837 0.333 0.183
19 Ta 0.338 0.346 0.973
20 Ta 0.834 0.326 0.981
21 Ta 0.335 0.344 0.482
22 Ta 0.841 0.342 0.475
23 Ta 0.161 0.662 0.018
24 Ta 0.659 0.662 0.027
25 Ta 0.159 0.656 0.528
26 Ta 0.666 0.658 0.521
27 Ta 0.160 0.650 0.305
28 Ta 0.664 0.659 0.316
29 Ta 0.164 0.669 0.814
30 Ta 0.661 0.671 0.804
31 Si 0.142 0.999 0.251
32 Si 0.358 0.721 0.251
33 Si 0.994 0.277 0.250
34 Si 0.504 0.289 0.251
35 Si 0.643 0.285 0.750
36 Si 0.004 0.720 0.750
37 Si 0.493 0.709 0.750
38 Si 0.858 0.000 0.750
39 Si 0.478 0.334 0.581
40 Si 0.972 0.325 0.585
41 Si 0.191 0.049 0.583
42 Si 0.334 0.628 0.583
43 Si 0.830 0.612 0.583
44 Si 0.472 0.619 0.084
45 Si 0.979 0.623 0.081
46 Si 0.834 0.041 0.083
47 Si 0.691 0.334 0.083
48 Si 0.309 0.674 0.916
49 Si 0.020 0.377 0.916
50 Si 0.528 0.383 0.916
51 Si 0.166 0.955 0.917
52 Si 0.671 0.952 0.917
53 Si 0.808 0.951 0.416
54 Si 0.171 0.390 0.417
55 Si 0.667 0.376 0.417
56 Si 0.028 0.673 0.416
57 Si 0.522 0.664 0.418
58 S 0.644 0.002 0.251
59 S 0.857 0.713 0.250
60 S 0.143 0.286 0.751
61 S 0.357 0.999 0.750
62 S 0.692 0.049 0.583
63 S 0.332 0.046 0.083
64 S 0.192 0.335 0.083
65 S 0.808 0.664 0.917
66 S 0.308 0.952 0.416
67 O 0.096 0.033 0.307
68 O 0.603 0.029 0.303
69 O 0.420 0.807 0.307
70 O 0.911 0.790 0.302
71 O 0.487 0.162 0.306
72 O 0.980 0.159 0.307
73 O 0.103 0.178 0.804
74 O 0.594 0.159 0.807
75 O 0.480 0.801 0.808
76 O 0.988 0.813 0.807
77 O 0.410 0.029 0.803
78 O 0.920 0.033 0.807
79 O 0.396 0.975 0.697
80 O 0.907 0.976 0.693